Change management is impossible when you don’t understand the organisational culture that already exists in your business. That’s why, as we’ve explored in our recent articles, it’s important to know what culture is, how to measure it and the key types of corporate culture.
But once you understand organisational culture, how do you begin to change it? Or how do you mobilise the culture you already have? In HBR’s Leader’s Guide to Corporate Culture, Boris Groysberg and others write, “The best leaders we have observed are fully aware of the multiple cultures within which they are embedded, can sense when change is required and can deftly influence the process.”
The McKinsey model describes four key “levers” that can be applied to affect cultural change. Here’s how you can make effective use of each one:
- Role models
Crystal structures from another source follow
Entry 1:
VASP calculation (PBE) on a relaxed structure of OsPb.

Unit cell a=4.7300 b=3.3595 c=5.7722 alpha=55.30 beta=90.00 gamma=90.00
Fractional coordinates of all 4 atoms:
Os1 0.7500 0.2499 0.2501
Os2 0.2500 0.7501 0.7499
Pb1 0.7500 0.2498 0.7501
Pb2 0.2500 0.7502 0.2499


Entry 2:
VASP calculation (PBE) on a relaxed structure of Li4CdPd3.

Unit cell a=3.0322 b=4.5192 c=9.3918 alpha=75.19 beta=99.29 gamma=90.00
Fractional coordinates of all 8 atoms:
Li1 0.7573 0.7418 0.5147
Li2 0.2427 0.2582 0.4853
Li3 0.3830 0.6154 0.7659
Li4 0.6170 0.3846 0.2341
Pd1 0.8632 0.1341 0.7264
Pd2 0.1368 0.8659 0.2736
Pd3 0.0000 0.5000 0.0000
Cd1 0.5000 0.0000 0.0000


Entry 3:
VASP calculation (PBE) on a relaxed structure of ReAg2As.

Unit cell a=3.0092 b=4.4089 c=5.0386 alpha=90.00 beta=90.00 gamma=90.00
Fractional coordinates of all 4 atoms:
Ag1 0.0000 0.0000 0.0000
Ag2 0.5000 0.5000 0.0000
As1 0.5000 0.0000 0.5000
Re1 0.0000 0.5000 0.5000


Magnetization for the records above, in order: 0.000; 0.000; 0.000 μB/atom
ΔH_f (0 K) for the records above, in order: 1.0876; -0.3697; 0.5846 eV/atom
The page goes on
“We don’t need to convince large numbers of people to change; instead, we need to connect with kindred spirits. Through these relationships, we will develop the new knowledge, practices, courage and commitment that lead to broad-based change.” – Margaret Wheatley, Organisational Behaviourist
As we explored in Leaders as culture carriers – why the problem starts with you, all organisational culture change needs to begin with leaders.
Crucially, the way in which leaders model culture is not through telling others what the culture is or should be. If a leader says they value creativity and innovation, but by their actions they continue to micro-manage and disapprove of failed experiments – then very little creativity and innovation will emerge.
Leaders communicate culture through the stories they tell, through how they spend their time and how they manage priorities. An organisation in which executives are siloed off in an office, will have a very different culture to an organisation in which executives spend their time in and amongst the different teams in their business. Similarly, if leaders only learn the names of their inner circle, they communicate an exclusivity, whereas if they take time to get to know a diverse selection of their team, they communicate an inclusivity.
- Personal conviction of a need to change
“Companies, like individuals, do not become exceptional by believing they are exceptional but by understanding the ways in which they aren’t exceptional.” ― Ed Catmull, Creativity, Inc.: Overcoming the Unseen Forces That Stand in the Way of True Inspiration
Often leaders falsely assume that the employees already understand why they are undertaking a culture change. These leaders may allude to the reasons, but many don’t take the time to explain them.
Next to the piece, the page also holds materials data
~~~
No. 1
Here is an optimized crystal structure of SrSc2TiOs from the Alexandria database. Energies are from PBE.

a b c (Å): 4.943 4.799 4.943
angles (deg): 90.00 90.00 90.00
Sites, in units of the cell vectors:
Sc  0.000  0.000  0.500
Sc  0.500  0.000  0.000
Sr  0.000  0.000  0.000
Os  0.000  0.500  0.000
Ti  0.500  0.500  0.500

Calculated values
Space-group type = P4/mmm

No. 2
Here is an optimized crystal structure of SrY2ScOs from the Alexandria database. Energies are from PBE.

a b c (Å): 5.520 5.520 5.188
angles (deg): 90.00 90.00 90.00
Sites, in units of the cell vectors:
Y  0.000  0.500  0.000
Y  0.500  0.000  0.000
Sr  0.500  0.500  0.500
Os  0.000  0.000  0.000
Sc  0.000  0.000  0.500

Calculated values
Space-group type = P4/mmm

No. 3
Here is an optimized crystal structure of ScTa2Os2 from the Alexandria database. Energies are from PBE.

a b c (Å): 7.777 7.777 2.943
angles (deg): 90.00 90.00 90.00
Sites, in units of the cell vectors:
Sc  0.000  0.000  0.000
Sc  0.500  0.500  0.000
Os  0.151  0.651  0.500
Os  0.651  0.849  0.500
Os  0.849  0.349  0.500
Os  0.349  0.151  0.500
Ta  0.355  0.855  0.000
Ta  0.855  0.645  0.000
Ta  0.645  0.145  0.000
Ta  0.145  0.355  0.000

Calculated values
Space-group type = P4/mbm

Summary of formation energy from the elements in eV/f.u.
9.58; -0.34; -0.64
(order as listed above)
~~~
The materials data stop here
This can lead to a resentment forming within an organisation. The employees may outwardly abide by the practices associated with the new culture, but they often won’t take ownership of it. The result is that the old culture will remain dominant.
To communicate the need to change effectively, it helps for leaders to work with a burning platform: an external change that requires an internal change for the company. The external change could be a shift in the market, or the wider industry.
Once employees understand the burning platform – the external change – leaders can explain why a culture change is necessary to thrive in the new conditions. The current culture will need to be explained – why certain elements of the current culture should be cherished and why other elements are no longer fit for purpose. It’s essential to respect the current culture while communicating the necessity of change.
- Skills to change
“A lot has been written about…artificial intelligence, robotics, machine learning, etc. Some describe a future where most of the work still done by human beings will require strong interpersonal skills and emotional intelligence.” – Kathy Bernhard, KFB Leadership Solutions
To be effective, change management needs to be supported with training, mentoring and coaching. Otherwise all momentum gained from communicating the culture change will be lost.
When a team member believes that their increased efforts will make a difference to the company, they will be inspired to change. But if they believe their individual contribution is inconsequential, they will be resistant to change.
• Someone pasted crystal structures at this point:
- - -
# 1
La7Sm3Er2, relaxed, DFT GGA-PBE; total energy = -56.957 eV per cell; offset from the most stable computed form = 0 meV/atom; SG = P2/m, No. 10; calculated volume = 35.0 Å³ per atom; total magnetization = 0.000 μB per cell; ΔE_f = 79 kJ/mol of formula units
1.0
3.589 0.000 0.000
0.000 6.516 0.805
0.000 2.531 18.289
La Sm Er
7 3 2
Cartesian
1.795 2.787 9.497
1.795 6.259 9.598
0.000 4.059 3.542
0.000 0.000 0.000
0.000 4.987 15.552
1.795 8.286 15.905
1.795 0.760 3.189
1.795 3.258 0.403
0.000 1.626 6.253
0.000 7.420 12.841
1.795 4.820 6.541
1.795 4.226 12.553

# 2
LaSmEr4, relaxed, DFT GGA-PBE; total energy = -26.196 eV per cell; offset from the most stable computed form = 254 meV/atom; SG = F-43m, No. 216; calculated volume = 34.4 Å³ per atom; total magnetization = 3.733 μB per cell; ΔE_f = 164 kJ/mol of formula units
1.0
6.636 0.000 0.000
3.318 5.747 0.000
3.318 1.916 5.418
La Sm Er
1 1 4
Cartesian
3.318 1.916 1.355
0.000 0.000 0.000
6.636 3.831 0.667
6.636 1.906 3.390
8.303 4.794 3.390
4.969 4.794 3.390

# 3
La6SmEr8, relaxed, DFT GGA-PBE; total energy = -69.018 eV per cell; SG = R-3, No. 148; calculated volume = 33.7 Å³ per atom; total magnetization = 0.000 μB per cell; ΔE_f = 171 kJ/mol of formula units
1.0
-7.596 -0.432 -4.945
-4.366 -7.900 -0.928
-7.834 -1.330 3.825
La Sm Er
6 1 8
Cartesian
-14.236 -8.517 0.139
-2.821 -2.069 -0.133
-5.206 -4.506 -1.110
-14.590 -5.156 -0.939
-16.976 -7.593 -1.916
-5.561 -1.145 -2.187
0.000 0.000 0.000
-7.644 -3.220 0.787
-9.114 -1.762 -1.986
-7.480 -6.646 0.324
-9.015 -5.163 -2.352
-10.782 -4.499 0.304
-12.317 -3.016 -2.372
-10.682 -7.900 -0.062
-12.152 -6.442 -2.836

# 4
La3Sm2Er8, relaxed, DFT GGA-PBE; total energy = -59.612 eV per cell; offset from the most stable computed form = 0 meV/atom; SG = C2/m, No. 12; calculated volume = 32.8 Å³ per atom; total magnetization = 0.000 μB per cell; ΔE_f = 107 kJ/mol of formula units
1.0
-2.950 4.093 -2.371
-5.774 -3.599 0.976
-3.614 0.411 11.761
La Sm Er
3 2 8
Cartesian
0.000 0.000 0.000
-3.166 1.127 -0.665
-9.172 -0.223 11.030
-7.997 1.044 5.203
-4.341 -0.139 5.162
-3.331 -1.202 2.071
-9.007 2.107 8.294
-7.032 -2.385 4.637
-5.306 3.290 5.728
-8.128 -1.324 7.832
-5.424 0.835 8.189
-6.914 0.070 2.176
-4.210 2.229 2.533

# 5
La4Sm5Er3, relaxed, DFT GGA-PBE; total energy = -54.476 eV per cell; SG = C2/m, No. 12; calculated volume = 35.0 Å³ per atom; total magnetization = 0.001 μB per cell; ΔE_f = 243 kJ/mol of formula units
1.0
6.021 0.000 0.000
3.010 7.783 -2.700
3.010 -0.907 9.265
La Sm Er
4 5 3
Cartesian
6.021 1.711 -0.073
3.010 -0.110 5.615
9.031 6.986 0.950
6.021 5.165 6.639
9.031 6.603 4.825
6.021 3.438 3.283
3.010 3.433 -0.181
9.031 3.443 6.746
3.010 0.273 1.740
6.021 5.137 0.638
3.010 3.438 3.283
6.021 1.739 5.927

# 6
- - -
In the technological age, it is easier than ever to demonstrate to employees the impact of their personal efforts. There are apps to measure performance, software that can review incremental change and company intranets that can celebrate the achievements of individuals.
When combined with a program of skills training, formal/informal mentoring and external coaching, technology helps employees take ownership of the culture change. They won’t just learn the skills necessary, they’ll recognise the importance of them too.
- Supportive systems and processes
“Managers tend to be too risk averse: they focus on the costs of investing in bad ideas rather than the benefits of piloting good ones.” – Adam Grant, organisational psychologist. Originals
Supportive systems and processes enable a culture change to be sustainable. When structures are ignored, the leadership development will be stunted, and culture will revert back to its default when external pressures arise. No-one can become physically fit by going to the gym a few times, they have to structure their lives around an exercise regime.
For organisational culture change to be effective, we need to analyse the entire organisational structure of the company. Processes need to be reviewed, roles need to be reimagined. The autonomy of teams and individuals needs to be addressed – and each team’s relationship to the executive board. Sometimes even the physical office layout and design needs to be altered to reinforce a new culture.
It’s not only behavioural – processes and systems are made by people based on what they believe is right. These processes and systems have often been in place for a long time. So if you want to change culture and behaviour then the structures and systems and processes also need to change.
You are probably noticing that change management is an extensive, complicated process. It’s almost impossible to accomplish an organisational culture shift on your own. At TPCL we offer leadership consultancy services for this very reason. We’ve found that leaders need help from practiced change managers, who can guide them through the process. Get in touch with your local TPC branch to begin talking the conversation.